RFA Ethanol Podcast

Communicating Via New Media Groups

Chuck Zimmerman

Here Comes EverybodyI recently mentioned Clay Shirky’s book, “Here Comes Everybody: The Power of Organizing Without Organizations,” and got my copy last week. I’m going to try to share some tidbits from it as time allows since I think this is a book that will really help many of you ag communicators better understand what we’re doing. By “we” I mean ZimmComm New Media and all the people who are part of the online conversation that’s taking place, including in agriculture.

For starters, let’s look at a statement in chapter one, “. . . forming groups has gotten a lot easier. To put it in economic terms, the costs incurred by creating a new group or joining an existing one have fallen in recent years, and not just by a little bit. They have collapsed.”

Clay’s talking about groups. Any kind of group. Could be farmers. Could be farmers who love green tractors. Could be any group of people you can imagine. Until recently it wasn’t easy to belong to groups much less create and manage them. I suppose you could think of the listeners to a local radio station as a group. But how much does it cost to buy an FCC license and transmit your signal? More than you and I have. Been there, done that.

Today though, using new media tools like blogging or podcasting, which includes social networks like Facebook, I dare say most people can afford to create their own group and have global reach. This is allowing many more groups to exist. It also means companies are having to re-think how they get their message out since there are many new and different channels to do so. It also means they can’t apply the same measurement standards to the tactics they’re using. If they do then they’ll find themselves stuck in the same old, same old and wonder why others are getting ahead of them.

There was a great AP story out last week that focused on how food companies are targeting the writers of niche blogs. It helps illustrate how important this new proliferation of “groups” is becoming. Here’s an excerpt with my own highlighting added:

_Someone pasted records of molecules at this point_
<<<
# 1
The following is a quantum chemistry calculation of a gas-phase ion, C5H13N4 (charge +1) in a non-equilibrium geometry, from the OMol25 dataset.

Calculated values
E: -11346.8099 eV
energy relative to the best compared isomer or geometry (same formula, charge and spin): 3.3018 eV
net charge: +1
SMILES string: CC(C)(N)C[NH+]=C=NN

Each line ends with the Mulliken charge.
Element x y z (Å)
C -1.513 0.237 1.419  -1.45
C -1.066 0.153 -0.103  1.72
C -2.253 0.117 -0.992  -1.73
N -0.104 1.260 -0.317  -0.61
C -0.456 -1.167 -0.406  -1.28
N 0.834 -1.324 0.333  -0.14
C 1.864 -0.559 0.219  0.34
N 2.966 -0.325 -0.184  0.18
N 3.942 0.539 -0.251  -0.48
H -0.624 0.233 2.068  0.39
H -2.315 -0.524 1.698  0.32
H -1.775 1.273 1.598  0.41
H -2.036 -0.173 -2.022  0.40
H -2.670 1.208 -0.966  0.32
H -2.962 -0.561 -0.580  0.44
H 0.583 1.221 -1.029  0.16
H -0.615 2.072 -0.110  0.26
H -1.125 -2.064 -0.115  0.36
H -0.140 -1.226 -1.443  0.50
H 0.645 -1.849 1.279  0.38
H 4.868 0.188 -0.498  0.28
H 3.950 1.269 0.404  0.25

=====

# 2
The following is a quantum chemistry calculation of a gas-phase ion, C5H13N4O (charge +1) in a non-equilibrium geometry, from the OMol25 dataset.

Calculated values
E: -13392.5291 eV
energy relative to the best compared isomer or geometry (same formula, charge and spin): 4.9915 eV
net charge: +1

Each line ends with the Mulliken charge.
Element x y z (Å)
C -0.508 1.431 -0.108  0.65
C -1.915 0.996 0.390  -0.59
C -1.674 -0.292 1.069  -0.47
C 1.527 0.226 -0.836  -0.60
C 2.178 -0.071 0.524  -0.42
N -0.209 2.670 -0.176  -0.66
N 0.143 0.447 -0.671  -0.04
N -1.644 -1.686 -0.948  -0.68
N -0.914 -1.123 0.107  0.15
O 2.163 -1.484 0.711  -0.51
H -2.372 1.821 0.972  0.37
H -2.423 0.824 -0.545  0.29
H -1.008 -0.290 1.992  0.34
H -2.667 -0.818 1.160  0.30
H 1.996 1.180 -1.071  0.29
H 1.787 -0.368 -1.670  0.38
H 1.524 0.287 1.349  0.20
H 3.189 0.328 0.594  0.47
H 0.849 2.811 -0.539  0.24
H -1.905 -1.092 -1.702  0.29
H -0.989 -2.314 -1.427  0.30
H -0.122 -1.694 0.484  0.37
H 2.993 -1.789 0.339  0.34

=====

# 3
The following is a quantum chemistry calculation of a gas-phase ion, C5H13N4O (charge +1) in a non-equilibrium geometry, from the OMol25 dataset.

Calculated values
E: -13394.4977 eV
energy relative to the best compared isomer or geometry (same formula, charge and spin): 3.0229 eV
net charge: +1
SMILES string: NC1(N)C=C[NH2+]N1CCO

Each line ends with the Mulliken charge.
Element x y z (Å)
N 1.633 -1.003 -1.210  -0.50
C 1.484 -0.338 0.046  0.74
N 2.262 -0.837 1.162  -0.64
C 1.737 1.186 -0.286  -0.88
C 0.675 1.919 -0.055  -0.34
N -0.361 1.168 0.549  -0.16
N -0.081 -0.271 0.367  -0.30
C -1.001 -0.849 -0.588  -0.60
C -2.447 -0.654 -0.018  -0.56
O -2.780 0.735 -0.046  -0.53
H 2.053 -0.474 -1.948  0.22
H 1.982 -1.916 -1.094  0.20
H 2.057 -0.300 2.125  0.30
H 2.009 -1.815 1.406  0.31
H 2.693 1.476 -0.738  0.46
H 0.594 3.002 -0.276  0.46
H -0.477 1.410 1.575  0.40
H -1.544 1.232 0.375  0.43
H -0.734 -1.905 -0.713  0.46
H -0.851 -0.361 -1.510  0.43
>>>

One blog with a couple of thousand daily readers may not have a huge impact, but marketers can easily reach several such blogs with little effort, said Debbie Weil, a corporate blogging consultant based in Washington. “Companies are paying attention to the concept of lots and lots of tiny little markets. Added up, it’s significant,” Weil said.

The single-minded focus of blogs may be in some ways more valuable than traditional marketing since it’s easier to target an audience, said Daniel Taylor, a senior analyst of digital advertising and marketing for the Yankee Group.

These blogs usually spring from personal obsessions. Abi Jones, for example, started Heat-EatReview.com after nuking countless frozen meals for lunch at the office. Comparing notes with co-workers, she realized there were no resources for people interested in learning about the newest products in the freezer aisle.

Food blogs “may not have the mass reach, but it’s a more engaged, specific audience,” said Greg Zimprich, a spokesman for General Mills Inc. “Their readers are going to care a lot more about a product of ours.”

I know it’s not easy shifting the paradigm of the mass audience to one of multiple niche audiences but think about the value of your investment. I suggest that investing fewer dollars to reach the most motivated or engaged customers may have a greater return that spending huge amounts of money, most of which is reaching people who aren’t interested in your product or message.

Three years ago when I checked Google for “farm blogs” there were only a couple of results. This morning that keyword search yielded 5,830 results! The same growth in farm podcasts is also happening. Take a look at who’s writing and producing these “groups.” Although there are some in traditional media who are doing so, most of them aren’t created by the same companies we’ve relied on to get our message out. Maybe it’s time your company considered investing in some of the ones reaching the people who match up with your customer base.
